Sir Josiah Stamp on Life
Criticism and other Addresses. By Sir Josiah Stamp. (Berm. 15s.).
Sia JosiAu ST.u►rr thinks with zest as well as with care, and the combination of these qualities is extraordinarily attractive. His books hitherto have been strictly technical, but here is a collection of addresses which though critical, in their sum provide an outlook upon the whole of life. There is an art of life, and Sir Josiah has studied that art passionately as another man might pursue beauty. Indeed, there is little difference between the two kinds of study, for it is a life of beautiful quality which Sir Josiah imagines as the greatest good.
Although the addresses in this volume are various, com- prising such subjects as " Criticism and Scholarship," " The Responsibility of Knowledge," " The Plain Man's Share in Scientific Progress," " The Christian Ethic and Economics," " The Citizen of the Future," " Scientific Research and Trans- port," and " Accountancy in 1965," they are strikingly coher- ent. Sir Josiah apologizes for repetition, but there is really very little of it ; a repeated reflection is always given some new touch or in its new circumstances throws off a fresh refraction of light. The chief fact about Sir Josiah Stamp is that he enjoys thinking. He is not far from agreeing with Hamlet, that " There is nothing either good or bad but thinking makes it so." Yet thought is no tragedy to him as it was to Hamlet. It is his balm and his weapon. He says, in effect, that careful thinking will solve modern problems and that nothing else will.
He does not suggest that the civilized world is seriously wrong in its general code. Men err from slackness, selfishness and perversity, but Sir Josiah evidently thinks that great democracies, in spite of all their faults, do fundamentally believe in what R. L. Stevenson called " the ultimate decency of things," and that they have a general wish to contribute to that decency. Men apply the wrong remedies to crying abuses much more from confused thinking than from wickedness. Sir Josiah does not spare the type of thinker whom he regards as his practical enemy, though his theoretical friend—the sentimentalist, for instance, who confuses the issue by precip- itately. calling an economic hardship "unjust" without having
# 1
Pr12DyEr5: computed PXRD pattern (copper Kα), based on a GGA-PBE-relaxed structure.
Kinematic intensities with the Lorentz-polarization factor, no thermal factor.

Crystal structure
a = 10.938 Å, b = 10.938 Å, c = 5.177 Å
α = 90.00°, β = 90.00°, γ = 90.43°
Fractional coordinates of all 18 atoms:
1 Pr 0.002 0.669 0.500
2 Pr 0.164 0.164 0.000
3 Pr 0.169 0.502 0.000
4 Pr 0.331 0.998 0.500
5 Pr 0.335 0.335 0.500
6 Pr 0.498 0.831 0.000
7 Pr 0.502 0.169 0.000
8 Pr 0.665 0.665 0.500
9 Pr 0.669 0.002 0.500
10 Pr 0.831 0.498 0.000
11 Pr 0.836 0.836 0.000
12 Pr 0.998 0.331 0.500
13 Dy 0.500 0.500 0.000
14 Er 0.000 0.000 0.500
15 Er 0.167 0.833 0.000
16 Er 0.333 0.667 0.500
17 Er 0.667 0.333 0.500
18 Er 0.833 0.167 0.000

Main lines, in order of rising 2θ (2θ = 10–90°):
2θ (°)  I/Imax
29.98  100
34.66  34
34.93  17
49.83  12
50.03  24
59.25  29
59.61  14
62.30  12

---

# 2
Pr3DyEr6: computed PXRD pattern (copper Kα), based on a GGA-PBE-relaxed structure.
Kinematic intensities with the Lorentz-polarization factor, no thermal factor.

Crystal structure
a = 6.637 Å, b = 6.637 Å, c = 9.718 Å
α = 111.57°, β = 111.57°, γ = 59.19°
Fractional coordinates of all 10 atoms:
1 Pr 0.000 0.000 0.000
2 Pr 0.072 0.072 0.700
3 Pr 0.928 0.928 0.300
4 Dy 0.500 0.500 0.500
5 Er 0.068 0.561 0.687
6 Er 0.364 0.364 0.079
7 Er 0.439 0.932 0.313
8 Er 0.561 0.068 0.687
9 Er 0.636 0.636 0.921
10 Er 0.932 0.439 0.313

Main lines, in order of rising 2θ (2θ = 10–90°):
2θ (°)  I/Imax
28.54  34
31.10  33
31.30  30
31.55  100
32.23  37
33.40  22
34.10  20
55.40  26

---

# 3
Pr3Dy8Er: computed PXRD pattern (copper Kα), based on a GGA-PBE-relaxed structure.
Kinematic intensities with the Lorentz-polarization factor, no thermal factor.

Crystal structure
a = 6.313 Å, b = 8.509 Å, c = 8.522 Å
α = 84.46°, β = 68.27°, γ = 68.31°
Fractional coordinates of all 12 atoms:
1 Pr 0.000 0.000 0.000
2 Pr 0.000 0.497 0.502
3 Pr 0.663 0.750 0.252
4 Dy 0.000 0.416 0.919
5 Dy 0.330 0.168 0.167
6 Dy 0.330 0.664 0.671
7 Dy 0.334 0.083 0.585
8 Dy 0.337 0.580 0.082
9 Dy 0.665 0.329 0.336
10 Dy 0.665 0.834 0.832
11 Dy 0.998 0.919 0.422
12 Er 0.663 0.250 0.752

Main lines, in order of rising 2θ (2θ = 10–90°):
2θ (°)  I/Imax
28.29  24
31.26  24
32.40  100
42.66  16
50.08  20
56.36  21
60.22  23
60.90  14

---

# 4
Pr7DyEr2: computed PXRD pattern (copper Kα), based on a GGA-PBE-relaxed structure.
Kinematic intensities with the Lorentz-polarization factor, no thermal factor.

Crystal structure
a = 9.388 Å, b = 9.388 Å, c = 5.712 Å
α = 90.00°, β = 90.00°, γ = 123.06°
Fractional coordinates of all 10 atoms:
1 Pr 0.000 0.000 0.000
2 Pr 0.206 0.434 0.000
3 Pr 0.278 0.722 0.500
4 Pr 0.434 0.206 0.000
5 Pr 0.566 0.794 0.000
6 Pr 0.722 0.278 0.500
7 Pr 0.794 0.566 0.000
8 Dy 0.500 0.500 0.500
9 Er 0.205 0.795 0.000
10 Er 0.795 0.205 0.000

Main lines, in order of rising 2θ (2θ = 10–90°):
2θ (°)  I/Imax
15.51  48
26.65  31
29.44  60
31.32  55
32.90  100
34.34  58
43.52  41
56.78  32

---

# 5
even attempted to test its inevitability. Such reflections may be traced in almost every one of these addresses, but they appear most clearly in the address entitled " The Citizen of the Future " :
" Next we must look at the machine of judgment or thinking. The most carefully selected and beautiful facts will be ruined if they are fed into a bad machine. The first essential is to distinguish fact from thought about fact. Hobbes said, in a most memorable phrase, ' No discourse whatsoever can end in absolute knowledge of fact,' but of course to-day the world of ideas is becoming the world of facts to us ; still, however, the distinction remains valid and important over a large part of the formation of opinion about what ought to be done next,' and practical living may still be dis- tinguished from speculation about the ultimate constitution of matter and force. In that future day there will be two great advances ; first there will be training for thinking as a practical art, as for work or a profession, and each will be taught to find his own knack or vein along which the best results can be found, and thinking will no longer be regarded as something that every gentleman can do by instinct. The distance that has to be covered to reach this point can be visualized only by reading Graham Wallas's Art of Thought. But the range of thought and its apparatus will be wide, right into the fields which are specialist to-day. We have made a beginning, for the small boy of to-day babbles with ease and without pedantry of ohms, watts, volts, cycles, thermostats, moving coils, the heaviside layer, vitamins, air pockets, high pressures, magnetos, and frames of reference."
The addresses entitled " The Plain Man's Share in Scientific Progress," " A ' Point of View,' " and " The Christian Ethic and Economics," are, in effect, sermons, and very noble sermons, upon the responsibility of knowledge and the nature of service. Essentially Sir Josiah's attitude towards life is that of a " modernist " Christian. After what he calls " long mental meanderings " he has become again a convinced believer in the permanent value of organized religious institu- tions. In this matter he is an unashamed pragmatist. The lag between the literal meaning of certain religious dogmas and modern scientific conceptions of the content of those dogmas concerns him little ; he is satisfied if popular religion can still carry the moral force which moved our fathers and without which any man is a sorry creature."